Perfil De Puesto Director Legal

Misplaced calculated crystals:
'''
(1)
Na6MnTe4 | r²SCAN | optimized geometry

abc: 10.0328 10.0327 7.6802
angles: 90.00 90.00 120.00
Closest atoms and distances in Å follow each position.
Positions (direct):
Na 0.4722 0.9444 0.8717  3 Te 3.15-3.25, 1 Mn 3.51
Na 0.4722 0.5278 0.8718  3 Te 3.15-3.25, 1 Mn 3.51
Na 0.5278 0.4722 0.3718  3 Te 3.15-3.25, 1 Mn 3.51
Na 0.0556 0.5278 0.8717  3 Te 3.15-3.25, 1 Mn 3.51
Na 0.3004 0.1502 0.0432  4 Te 3.04-3.22
Na 0.5278 0.0556 0.3717  3 Te 3.15-3.25, 1 Mn 3.51
Na 0.9444 0.4722 0.3717  3 Te 3.15-3.25, 1 Mn 3.51
Na 0.8498 0.1502 0.0432  4 Te 3.04-3.22
Na 0.1502 0.3004 0.5432  4 Te 3.04-3.22
Na 0.8498 0.6996 0.0432  4 Te 3.04-3.22
Na 0.6996 0.8498 0.5432  4 Te 3.04-3.22
Na 0.1502 0.8498 0.5432  4 Te 3.04-3.22
Te 0.1842 0.3683 0.1415  1 Mn 2.72, 2 Na 3.04
Te 0.6667 0.3333 0.1073  1 Mn 2.74
Te 0.8158 0.6317 0.6415  1 Mn 2.72, 2 Na 3.04
Te 0.3684 0.1842 0.6415  1 Mn 2.72, 2 Na 3.04-3.05
Te 0.6316 0.8158 0.1415  1 Mn 2.72, 2 Na 3.04-3.05
Te 0.1842 0.8158 0.1415  1 Mn 2.72, 2 Na 3.04
Te 0.8158 0.1842 0.6415  1 Mn 2.72, 2 Na 3.04
Te 0.3333 0.6667 0.6073  1 Mn 2.74
Mn 0.6667 0.3333 0.7500  4 Te 2.72-2.74
Mn 0.3333 0.6667 0.2500  4 Te 2.72-2.74

total magnetic moment: 5.0 μB per formula unit
space-group type: P6_3mc (186)
DFT formation energy: -11.6 eV per formula unit



(2)
Be2PtRh | r²SCAN | optimized geometry

abc: 3.9493 3.9493 3.9493
angles: 60.00 60.00 60.00
Closest atoms and distances in Å follow each position.
Positions (direct):
Be 0.5000 0.5000 0.5000  4 Rh 2.42, 4 Pt 2.42
Be 0.0000 0.0000 0.0000  4 Pt 2.42, 4 Rh 2.42
Pt 0.2500 0.2500 0.2500  8 Be 2.42
Rh 0.7500 0.7500 0.7500  8 Be 2.42

total magnetic moment: 0.0 μB per formula unit
space-group type: Fm-3m (225)
DFT formation energy: -3.3 eV per formula unit



(3)
Mg4FeO5 | r²SCAN | optimized geometry

abc: 2.9701 2.9699 24.5824
angles: 86.48 86.47 59.91
Closest atoms and distances in Å follow each position.
Positions (direct):
Mg 0.4004 0.4001 0.8004  6 O 2.10
Mg 0.2980 0.2996 0.1007  6 O 2.07-2.10
Mg 0.7020 0.7004 0.8993  6 O 2.07-2.10
Mg 0.0992 0.0989 0.7015  6 O 2.10
Mg 0.5996 0.5999 0.1996  6 O 2.10
Mg 0.9008 0.9011 0.2985  6 O 2.10
Mg 0.1998 0.2024 0.3976  6 O 2.08-2.10
Mg 0.8002 0.7976 0.6024  6 O 2.08-2.10
O 0.9489 0.9499 0.1502  6 Mg 2.10
O 0.8484 0.8530 0.4462  3 Mg 2.08-2.09, 3 Fe 2.16-2.17
O 0.1516 0.1470 0.5538  3 Mg 2.08-2.09, 3 Fe 2.16-2.17
O 0.4497 0.4486 0.6520  6 Mg 2.10
O 0.7498 0.7495 0.7510  6 Mg 2.10
O 0.3529 0.3486 0.9470  3 Mg 2.07-2.08, 3 Fe 2.15-2.16
O 0.5503 0.5514 0.3480  6 Mg 2.10
O 0.6471 0.6514 0.0530  3 Mg 2.07-2.08, 3 Fe 2.15-2.16
O 0.0511 0.0501 0.8498  6 Mg 2.10
O 0.2502 0.2505 0.2490  6 Mg 2.10
Fe 0.5000 0.5000 0.5000  6 O 2.16-2.17
Fe 0.0000 0.0000 0.0000  6 O 2.15-2.16

total magnetic moment: 4.0 μB per formula unit
space-group type: P-1 (2)
DFT formation energy: -26.4 eV per formula unit
polymorph energy (0 for the lowest one): 0.000 eV per formula unit



(4)
TiNb4S8 | r²SCAN | optimized geometry

abc: 6.7005 6.7007 12.3023
angles: 90.00 90.00 119.99
'''
Here the page continues:

Perfil De Puesto Director Legal

**Materials data, kept here for reference:**
Record 1
The following is a PBE calculation of an optimized crystal structure of SiO2, from Materials Project.

abc: 7.6504 9.1335 20.0060
angles: 90.00 90.00 90.00
Last column: nearest neighbours and their distance in Å.
Positions (direct):
Si1 0.7972 0.2897 0.4459  4 O 1.62-1.63
Si2 0.7971 0.6180 0.0962  4 O 1.62-1.63
Si3 0.7971 0.3820 0.5962  4 O 1.62-1.63
Si4 0.5000 0.7832 0.1711  4 O 1.62-1.63
Si5 0.2028 0.2897 0.0541  4 O 1.62-1.63
Si6 0.2029 0.6180 0.0962  4 O 1.62-1.63
Si7 0.5000 0.9347 0.5752  4 O 1.61-1.63
Si8 0.2029 0.6180 0.4038  4 O 1.62-1.63
Si9 0.5000 0.0653 0.4248  4 O 1.61-1.63
Si10 0.5000 0.9347 0.9248  4 O 1.61-1.63
Si11 0.2028 0.7103 0.5541  4 O 1.62-1.63
Si12 0.7971 0.3820 0.9038  4 O 1.62-1.63
Si13 0.5000 0.2168 0.6711  4 O 1.62-1.63
Si14 0.7972 0.2897 0.0541  4 O 1.62-1.63
Si15 0.7972 0.7103 0.5541  4 O 1.62-1.63
Si16 0.7971 0.6180 0.4038  4 O 1.62-1.63
Si17 0.7972 0.7103 0.9459  4 O 1.62-1.63
Si18 0.2028 0.2897 0.4459  4 O 1.62-1.63
Si19 0.5000 0.2168 0.8289  4 O 1.62-1.63
Si20 0.2028 0.7103 0.9459  4 O 1.62-1.63
Si21 0.2029 0.3820 0.5962  4 O 1.62-1.63
Si22 0.5000 0.0653 0.0752  4 O 1.61-1.63
Si23 0.5000 0.7832 0.3289  4 O 1.62-1.63
Si24 0.2029 0.3820 0.9038  4 O 1.62-1.63
O1 0.3257 0.6883 0.3465  2 Si 1.62-1.63
O2 0.0000 0.7646 0.9433  2 Si 1.63
O3 0.6747 0.1642 0.0866  2 Si 1.62-1.63
O4 0.0000 0.3392 0.6113  2 Si 1.63
O5 0.6743 0.3117 0.6535  2 Si 1.62-1.63
O6 0.6743 0.6883 0.3465  2 Si 1.62-1.63
O7 0.0000 0.3392 0.8887  2 Si 1.63
O8 0.3253 0.8358 0.5866  2 Si 1.62-1.63
O9 0.2616 0.6825 0.0234  2 Si 1.63
O10 0.3257 0.6883 0.1535  2 Si 1.62-1.63
O11 0.5000 0.0645 0.6298  2 Si 1.61-1.62
O12 0.0000 0.6608 0.1113  2 Si 1.63
O13 0.6743 0.6883 0.1535  2 Si 1.62-1.63
O14 0.2616 0.6825 0.4766  2 Si 1.63
O15 0.5000 0.8209 0.2500  2 Si 1.62
O16 0.2255 0.4405 0.4032  2 Si 1.63
O17 0.6747 0.8358 0.9134  2 Si 1.62-1.63
O18 0.7384 0.6825 0.4766  2 Si 1.63
O19 0.6747 0.8358 0.5866  2 Si 1.62-1.63
O20 0.3257 0.3117 0.8465  2 Si 1.62-1.63
O21 0.7745 0.4405 0.4032  2 Si 1.63
O22 0.5000 0.0000 0.0000  2 Si 1.62
O23 0.3257 0.3117 0.6535  2 Si 1.62-1.63
O24 0.7745 0.4405 0.0968  2 Si 1.63
O25 0.7384 0.6825 0.0234  2 Si 1.63
O26 0.0000 0.2354 0.4433  2 Si 1.63
O27 0.0000 0.7646 0.5567  2 Si 1.63
O28 0.3253 0.1642 0.4134  2 Si 1.62-1.63
O29 0.5000 0.1791 0.7500  2 Si 1.62
O30 0.6743 0.3117 0.8465  2 Si 1.62-1.63
O31 0.2255 0.5595 0.5968  2 Si 1.63
O32 0.7384 0.3175 0.5234  2 Si 1.63
O33 0.7384 0.3175 0.9766  2 Si 1.63
O34 0.2616 0.3175 0.5234  2 Si 1.63
O35 0.6747 0.1642 0.4134  2 Si 1.62-1.63
O36 0.5000 0.0000 0.5000  2 Si 1.62
O37 0.0000 0.2354 0.0567  2 Si 1.63
O38 0.7745 0.5595 0.5968  2 Si 1.63
O39 0.3253 0.1642 0.0866  2 Si 1.62-1.63
O40 0.5000 0.0645 0.8702  2 Si 1.61-1.62
O41 0.2616 0.3175 0.9766  2 Si 1.63
O42 0.2255 0.5595 0.9032  2 Si 1.63
O43 0.5000 0.9355 0.1298  2 Si 1.61-1.62
O44 0.2255 0.4405 0.0968  2 Si 1.63
O45 0.0000 0.6608 0.3887  2 Si 1.63
O46 0.5000 0.9355 0.3702  2 Si 1.61-1.62
O47 0.7745 0.5595 0.9032  2 Si 1.63
**End of the materials data:**

The company`s General Counsel is responsible for managing, coordinating and overseeing all legal and legal aspects that are part of the organization`s operations. While the initial role of a General Counsel has traditionally been to provide legal advice in the performance of legal tasks for various areas of the organization, the position is becoming increasingly interdisciplinary. The role and flexibility of the Chief Legal Officer is evolving. An effective general counsel must be a business leader, a negotiator and a driver of digital transformation. The role of General Counsel has evolved into a leadership role that requires more skills and perspectives. A good General Counsel has technical knowledge and is able to make a significant contribution to the overall strategy and policy of the company. The legal manager is already considered a cornerstone of modern organizations. Indeed, for example, the Internet has enabled a rapid international expansion of many companies and a very easy way to collect personal data from their customers. While both situations create great business advantages, they also create a high legal risk environment with many more “fronts that need to be covered” compared to traditional businesses. For example, if it is an organization with an online presence that manages users` personal data, the function of the legal officer is to make the company act in accordance with the various regulations on the protection of personal data. This is the main term that can be found in the international professional environment to define this type of director.

Between two parts of the article: materials data =
=====
1.
DFT (GGA+U) results for Rb3LiTbV2O8 after structural relaxation.

Cell lengths 6.2197, 6.1416, 7.9582 Å; angles 94.15, 91.60, 119.78 degrees
Last column: nearest neighbours and their distance in Å.
Sites, in units of the cell vectors:
O 0.1715 0.8114 0.3199  1 V 1.77
Tb 0.0091 0.0093 0.5116  6 O 2.19-2.44
V 0.7004 0.3710 0.7453  4 O 1.76-1.89
O 0.3607 0.2315 0.6764  1 V 1.89, 1 Li 1.98
Rb 0.6583 0.3187 0.3116  7 O 2.82-3.15
Li 0.3516 0.3543 0.9116  3 O 1.89-1.98
O 0.6264 0.8009 0.3286  1 V 1.76
V 0.3141 0.6386 0.2476  4 O 1.73-1.77
O 0.6656 0.3857 0.9640  1 V 1.76, 1 Li 1.90
O 0.8615 0.6810 0.6615  1 V 1.84
O 0.8347 0.1870 0.6592  1 V 1.82
O 0.1623 0.3382 0.3212  1 V 1.76
Rb 0.3528 0.7166 0.6745  10 O 2.94-3.29, 1 Li 3.02
O 0.3083 0.6066 0.0294  1 V 1.73, 1 Li 1.89
Rb 0.9039 0.9139 0.0294  5 O 2.82-3.11, 1 Li 3.00

***

2.
DFT (GGA+U) results for Rb3LiTbV2O8 after structural relaxation.

Cell lengths 5.9740, 5.9740, 9.1367 Å; angles 90.00, 90.00, 120.00 degrees
Last column: nearest neighbours and their distance in Å.
Sites, in units of the cell vectors:
O 0.1790 0.8210 0.3502  1 V 1.85
Rb 0.3333 0.6667 0.7856  1 O 2.50, 1 Li 2.65
Tb 0.0000 0.0000 0.4876  6 O 2.24-2.34
O 0.6419 0.8210 0.3502  1 V 1.85
Rb 0.0000 0.0000 0.9860  12 O 3.51-3.81, 3 Rb 3.90
O 0.3456 0.1728 0.6531  1 V 1.76
O 0.1790 0.3581 0.3502  1 V 1.85
O 0.8272 0.6544 0.6531  1 V 1.76
V 0.6667 0.3333 0.7171  4 O 1.71-1.76
O 0.6667 0.3333 0.9046  1 V 1.71
Rb 0.6667 0.3333 0.2808  6 O 3.06
O 0.3333 0.6667 0.0590  1 V 1.73
O 0.8272 0.1728 0.6531  1 V 1.76
Li 0.3333 0.6667 0.4959  3 O 2.08, 1 V 2.26
V 0.3333 0.6667 0.2486  4 O 1.73-1.85

***

3.
DFT (GGA+U) results for Rb3LiTbV2O8 after structural relaxation.

Cell lengths 6.0765, 6.1991, 8.5082 Å; angles 90.00, 86.86, 120.67 degrees
Last column: nearest neighbours and their distance in Å.
Sites, in units of the cell vectors:
V 0.6285 0.3143 0.7300  4 O 1.71-1.82
O 0.7989 0.6220 0.6301  1 V 1.82, 1 Li 2.02
O 0.2011 0.3780 0.3699  1 V 1.82, 1 Li 2.02
O 0.2972 0.1486 0.6938  1 V 1.78
Rb 0.3379 0.6689 0.7566  1 O 2.69, 1 Li 2.89
V 0.3715 0.6857 0.2700  4 O 1.71-1.82
Tb 0.0000 0.0000 0.5000  6 O 2.27-2.34
O 0.6809 0.3404 0.9267  1 V 1.71
Rb 0.0000 0.0000 0.0000  2 O 2.95
Li 0.0000 0.5000 0.5000  4 O 2.02
O 0.2011 0.8231 0.3699  1 V 1.82, 1 Li 2.02
Rb 0.6621 0.3311 0.2434  1 O 2.69, 1 Li 2.89
O 0.3191 0.6596 0.0733  1 V 1.71
O 0.7989 0.1769 0.6301  1 V 1.82, 1 Li 2.02
O 0.7028 0.8514 0.3062  1 V 1.78

***

4.
DFT (GGA+U) results for Rb3LiTbV2O8 after structural relaxation.

Cell lengths 6.3518, 6.3697, 8.3129 Å; angles 90.50, 89.52, 124.52 degrees
Last column: nearest neighbours and their distance in Å.
Sites, in units of the cell vectors:
Rb 0.9558 0.0483 0.0025  3 O 2.93-3.12
Tb 0.0261 0.9759 0.4987  5 O 2.19-2.31
O 0.3555 0.1659 0.6771  1 V 1.76
O 0.1785 0.8367 0.3232  1 V 1.85
O 0.8380 0.6428 0.6728  1 V 1.76
Li 0.7956 0.1900 0.4208  3 O 1.90-1.91
O 0.1454 0.3445 0.3646  1 V 1.89, 1 Li 1.91
O 0.8175 0.1766 0.6481  1 V 1.77, 1 Li 1.90
=====

At STANDBY, we are leaders in executive selection and the General Counsel profile is one of the positions we most often seek to meet the needs of leading companies in their industry. After all, one of the most important functions of a CEO is to support their team in digital transformation. It is the job of a good general counsel to identify the risks to which the company is exposed. According to Deloitte, “General Counsel and Risk Specialists are called upon to work together to develop an effective framework that addresses a variety of legal risks that exist in businesses and develops controls to mitigate the most critical ones.” Therefore, it is important to emphasize that today, the General Counsel is himself a legal leader who, with his communication and leadership skills, helps define the direction of the company by aligning business strategies with the legal future. In 2021, technology is a key factor in the success and productivity of modern legal services. The lawyer must be able to ensure a smooth technological transition within his team by choosing the right technology. Second, effective time management is essential for a general counsel. General counsel often find that the urgent leaves no time for what is important. According to Gartner, “more than half of general counsel regret that their work is interrupted by urgent matters at least 70% of the time.” In summary, the role of the Chief Legal Officer is becoming increasingly dynamic. It`s up to you to keep the balance between a heavy workload and the proper use of technology to improve the efficiency and productivity of the entire department. The role and scope of the General Counsel is changing rapidly. “A good general counsel must be a consistent leader who is able to attract the right talent and who is not afraid to make tough decisions.” A good legal advisor must have a creative mindset.

Its effectiveness depends on its ability to cope with the infinite details of operations and at the same time to have an overview. In the same way, a good CEO must manage the present while anticipating the future. The general counsel or general counsel is a figure who goes beyond the legal department of a company. Their actions have a significant impact on how the organization grows in the market, how it deals with problems and how it anticipates industry obstacles. Therefore, this head of the company`s legal department is a fundamental part of decision-making, as he is able to dictate the right path to follow a business path where the rest of the organizations fail, stumble, and fall. Data protection laws, content distribution, copyright for multiple digital formats, control of e-commerce transactions, sending and receiving money online, among others, are very critical areas that companies need to address immediately, and the best way to do this is to hire a legal officer who specializes in the particular business sector. According to Deloitte, only 29% of legal teams are ready to adopt new technologies. In addition, only 56% of legal teams are adopting new technologies. It is the General Counsel`s responsibility to bridge technological gaps and support his legal departments in their digital transition. According to PwC, general counsel need to “embrace new technologies to deliver more effective and efficient services and allow their teams to focus on more interesting and value-added tasks.” First, the general counsel who strictly adheres to day-to-day legal issues may lose sight of strategic planning and long-term goals. A good general counsel must know how to maintain the delicate balance between his legal obligations and the priority of the company`s medium- and long-term objectives.

One of the General Counsel`s priorities is to identify and manage risks. Today, the risk environment is more complex than ever, as the COVID-19 pandemic has created new threats that are naturally much more complex. If you represent a company or are part of an HR department, you`ve probably wondered how to hire a general counsel to improve the profitability and organization of all resources. The selection of a General Counsel is facilitated by STANDBY`s methodology and security. Our specialization in selection procedures saves our clients direct and indirect costs, from the first call to the induction of the candidate for the position. Fill out the form without obligation and we will contact you. This Chief Compliance Officer job description template is optimized for posting to job boards and online job boards and can be easily customized by your organization. To succeed in this position, you need to be a reliable professional who is not afraid to voice your opinion and make your decisions. You need to know risk management and industry standards. If you also have good business sense, we`d love to get to know you. Keith Nelsen, Executive Vice President, Chief Legal Officer and Secretary of Best Buy.

Source: Korn Ferry If we take a closer look at what a legal manager is today, we find that he is not only an experienced lawyer, but also a key figure in advising managers on strategic decisions. For this reason, we are looking for potential candidates for this position so that we can have your profile from the first moment you apply for a new job for this position. We are looking for you. “Today, the General Counsel is an important member of the Executive Board who, in addition to advising on legal and similar issues, helps define the perspective and issues related to the company.” The acronym used to refer to the General Counsel is CLO. In principle, the legal officer is the lawyer within an organization who is responsible for managing, coordinating and supervising all legal aspects. In this sense, the legal manager is responsible for designing the methods that allow the company to comply with all applicable legal regulations according to its nature.